• Excerpt:
(1)
Formula: C15H18N2O2
Source: the OMol25 dataset
Level of theory: wB97M-V/def2-TZVPD

## Properties
Orbital gap in eV: 9.2
Energy relative to the best compared isomer or geometry (same formula, charge and spin) in kcal per mole: 37.1
SMILES: COC(=O)CCc1c(C)nn(-c2ccccc2)c1C
Total energy in eV: -22922.7026

XYZ file:
```
37
C15H18N2O2 | the OMol25 dataset | wB97M-V/def2-TZVPD
C 0.21 0.39 3.76
H -0.27 0.02 4.66
H 1.09 0.99 4.01
H 0.52 -0.43 3.12
O -0.75 1.19 3.10
C -0.31 1.95 2.09
O 0.85 2.04 1.79
C -1.44 2.66 1.38
H -1.01 3.34 0.66
C -2.32 1.61 0.68
C -1.49 0.48 0.16
C -0.46 0.55 -0.77
N 0.05 -0.71 -0.86
N -0.60 -1.57 -0.06
C -1.53 -0.87 0.57
C -2.43 -1.50 1.57
H -2.38 -0.97 2.52
H -2.15 -2.53 1.71
H -3.47 -1.46 1.21
C 1.11 -1.18 -1.64
C 1.01 -2.44 -2.21
C 2.04 -2.94 -2.98
C 3.18 -2.18 -3.19
C 3.30 -0.93 -2.60
C 2.27 -0.43 -1.82
H 2.38 0.52 -1.33
H 4.19 -0.35 -2.74
H 3.99 -2.57 -3.80
H 1.96 -3.92 -3.43
H 0.11 -3.02 -2.04
C -0.01 1.71 -1.58
H -0.85 2.36 -1.78
H 0.74 2.28 -1.03
H 0.42 1.38 -2.52
H -2.88 2.09 -0.13
H -3.04 1.20 1.40
H -2.03 3.22 2.11
```

Here are the Löwdin charges for atoms 1 to 5, given in e: C -0.042; H 0.093; H 0.094; H 0.100; O -0.042

***

(2)
Formula: C15H18N2O2S
Source: the OMol25 dataset
Level of theory: wB97M-V/def2-TZVPD

## Properties
Orbital gap in eV: 10.1
Energy relative to the best compared isomer or geometry (same formula, charge and spin) in kcal per mole: 30.2
SMILES: Cc1ccc(S(=O)(=O)NCCc2ccncc2)cc1C
Total energy in eV: -33757.5255

XYZ file:
```
38
C15H18N2O2S | the OMol25 dataset | wB97M-V/def2-TZVPD
C -1.05 -3.27 -2.10
C -1.29 -1.84 -1.74
C -1.10 -0.85 -2.70
C -1.30 0.49 -2.39
C -1.71 0.82 -1.12
C -1.91 -0.14 -0.15
C -1.70 -1.49 -0.45
C -1.92 -2.53 0.60
H -2.70 -3.23 0.29
H -1.01 -3.11 0.76
H -2.21 -2.08 1.54
H -2.23 0.17 0.83
S -1.88 2.54 -0.69
O -2.51 3.28 -1.74
O -2.42 2.64 0.64
N -0.26 3.00 -0.70
H -0.13 3.95 -0.99
C 0.53 2.53 0.41
H -0.15 2.06 1.12
C 1.58 1.51 -0.06
C 2.11 0.74 1.11
C 1.44 -0.39 1.57
C 1.94 -1.06 2.67
N 3.03 -0.69 3.32
C 3.67 0.39 2.89
C 3.25 1.13 1.80
H 3.81 2.00 1.48
H 4.55 0.66 3.45
H 1.45 -1.94 3.06
H 0.55 -0.73 1.07
H 1.10 0.84 -0.77
H 2.39 2.04 -0.57
H 1.02 3.37 0.93
H -1.16 1.27 -3.12
H -0.79 -1.12 -3.70
H -0.28 -3.70 -1.46
H -1.96 -3.86 -1.94
H -0.75 -3.37 -3.13
```

Here are the Löwdin charges for atoms 1 to 5, given in e: C -0.038; C -0.223; C -0.021; C -0.056; C -0.287

***

(3)
Formula: C15H18N2O3S2
Source: the OMol25 dataset
Level of theory: wB97M-V/def2-TZVPD

## Properties
Orbital gap in eV: 8.3
Energy relative to the best compared isomer or geometry (same formula, charge and spin) in kcal per mole: 51.7
SMILES: COc1ccc(-c2nc(NC(=O)CSCCO)sc2C)cc1
Total energy in eV: -46640.3353

XYZ file:
```
40
C15H18N2O3S2 | the OMol25 dataset | wB97M-V/def2-TZVPD
C 4.71 -0.97 3.39
H 3.96 -0.72 4.15
O 4.25 -1.96 2.51
C 3.15 -1.70 1.76
C 2.72 -2.73 0.92
C 1.62 -2.57 0.10
C 0.91 -1.37 0.10
C 1.33 -0.35 0.96
C 2.43 -0.51 1.78
H 2.72 0.31 2.42
H 0.77 0.58 0.98
C -0.26 -1.16 -0.74
C -0.49 -1.64 -2.00
S -2.04 -1.10 -2.57
C -2.25 -0.24 -1.06
N -1.26 -0.36 -0.24
N -3.40 0.47 -0.86
C -3.82 1.28 0.17
O -4.91 1.81 0.09
C -2.89 1.46 1.33
H -2.11 0.70 1.36
H -3.47 1.49 2.26
S -2.08 3.10 1.26
C -1.16 2.98 -0.29
H -0.81 1.95 -0.40
H -0.29 3.63 -0.18
C -1.98 3.36 -1.52
O -1.72 2.41 -2.53
H -2.16 2.68 -3.34
H -1.72 4.37 -1.86
H -3.05 3.37 -1.27
H -4.06 0.43 -1.63
C 0.39 -2.47 -2.88
H 1.43 -2.32 -2.61
H 0.15 -3.53 -2.78
H 0.24 -2.18 -3.92
H 1.29 -3.39 -0.51
H 3.28 -3.65 0.92
H 5.01 -0.06 2.86
H 5.59 -1.40 3.88
```

Here are the Löwdin charges for atoms 1 to 5, given in e: C -0.090; H 0.096; O -0.083; C -0.276; C 0.003

***

(4)
Formula: C15H18N2O4
Source: the OMol25 dataset
Level of theory: wB97M-V/def2-TZVPD

## Properties
Orbital gap in eV: 8.2
Energy relative to the best compared isomer or geometry (same formula, charge and spin) in kcal per mole: 293.6
SMILES: CCCCOC(=O)CCn1[nH]c(=O)c2ccccc2c1=O
Total energy in eV: -27006.7312

XYZ file:
```
39

• What to do:
Find the line above that holds "-0.13 3.95", then give back that line and all lines after it there.

• Solution:
H -0.13 3.95 -0.99
C 0.53 2.53 0.41
H -0.15 2.06 1.12
C 1.58 1.51 -0.06
C 2.11 0.74 1.11
C 1.44 -0.39 1.57
C 1.94 -1.06 2.67
N 3.03 -0.69 3.32
C 3.67 0.39 2.89
C 3.25 1.13 1.80
H 3.81 2.00 1.48
H 4.55 0.66 3.45
H 1.45 -1.94 3.06
H 0.55 -0.73 1.07
H 1.10 0.84 -0.77
H 2.39 2.04 -0.57
H 1.02 3.37 0.93
H -1.16 1.27 -3.12
H -0.79 -1.12 -3.70
H -0.28 -3.70 -1.46
H -1.96 -3.86 -1.94
H -0.75 -3.37 -3.13
```

Here are the Löwdin charges for atoms 1 to 5, given in e: C -0.038; C -0.223; C -0.021; C -0.056; C -0.287

***

(3)
Formula: C15H18N2O3S2
Source: the OMol25 dataset
Level of theory: wB97M-V/def2-TZVPD

## Properties
Orbital gap in eV: 8.3
Energy relative to the best compared isomer or geometry (same formula, charge and spin) in kcal per mole: 51.7
SMILES: COc1ccc(-c2nc(NC(=O)CSCCO)sc2C)cc1
Total energy in eV: -46640.3353

XYZ file:
```
40
C15H18N2O3S2 | the OMol25 dataset | wB97M-V/def2-TZVPD
C 4.71 -0.97 3.39
H 3.96 -0.72 4.15
O 4.25 -1.96 2.51
C 3.15 -1.70 1.76
C 2.72 -2.73 0.92
C 1.62 -2.57 0.10
C 0.91 -1.37 0.10
C 1.33 -0.35 0.96
C 2.43 -0.51 1.78
H 2.72 0.31 2.42
H 0.77 0.58 0.98
C -0.26 -1.16 -0.74
C -0.49 -1.64 -2.00
S -2.04 -1.10 -2.57
C -2.25 -0.24 -1.06
N -1.26 -0.36 -0.24
N -3.40 0.47 -0.86
C -3.82 1.28 0.17
O -4.91 1.81 0.09
C -2.89 1.46 1.33
H -2.11 0.70 1.36
H -3.47 1.49 2.26
S -2.08 3.10 1.26
C -1.16 2.98 -0.29
H -0.81 1.95 -0.40
H -0.29 3.63 -0.18
C -1.98 3.36 -1.52
O -1.72 2.41 -2.53
H -2.16 2.68 -3.34
H -1.72 4.37 -1.86
H -3.05 3.37 -1.27
H -4.06 0.43 -1.63
C 0.39 -2.47 -2.88
H 1.43 -2.32 -2.61
H 0.15 -3.53 -2.78
H 0.24 -2.18 -3.92
H 1.29 -3.39 -0.51
H 3.28 -3.65 0.92
H 5.01 -0.06 2.86
H 5.59 -1.40 3.88
```

Here are the Löwdin charges for atoms 1 to 5, given in e: C -0.090; H 0.096; O -0.083; C -0.276; C 0.003

***

(4)
Formula: C15H18N2O4
Source: the OMol25 dataset
Level of theory: wB97M-V/def2-TZVPD

## Properties
Orbital gap in eV: 8.2
Energy relative to the best compared isomer or geometry (same formula, charge and spin) in kcal per mole: 293.6
SMILES: CCCCOC(=O)CCn1[nH]c(=O)c2ccccc2c1=O
Total energy in eV: -27006.7312

XYZ file:
```
39